Activity:
Work out how many lines below have the word "O1" in them; a number is enough.

Given:
=====
# 1
The following is a quantum chemistry calculation of a cluster of 2 separate species, CH6N2S2 in total at a distorted geometry, from the Open Molecules 2025 dataset.

Positions of all 11 atoms, in Å:
H  1.666  -1.312  -0.006
N  0.888  -1.187  0.636
C  0.715  0.046  0.895
N  -0.330  0.503  1.624
H  1.426  0.769  0.512
H  -0.879  -0.201  2.085
H  -0.256  1.437  1.979
S  -1.140  -0.943  -2.471
S  -0.461  0.991  -2.306
H  -0.281  -1.447  -1.574
H  -1.348  1.342  -1.375

## Properties
SMILES string: [H]/N=C/N.SS
multiplicity: 1
energy: -25784.8080 eV
relative energy (zero: lowest compared OMol25 entry of this formula, charge and spin): 9.7 kJ/mol
total charge: 0
HOMO-LUMO gap: 9.82 eV


# 2
The following is a quantum chemistry calculation of the ion CH6N4O with charge +2 at a distorted geometry, from the Open Molecules 2025 dataset.

Positions of all 12 atoms, in Å:
N  -1.250  1.215  0.288
N  -1.026  0.215  -0.552
N  0.574  -0.097  -0.825
C  1.232  -0.774  0.045
N  1.289  -1.428  1.139
O  2.408  -1.277  0.150
H  -1.127  1.158  1.218
H  -1.482  2.211  -0.141
H  -1.516  0.342  -1.470
H  -1.563  -0.648  -0.302
H  1.126  0.130  -1.629
H  1.337  -1.048  2.080

## Properties
SMILES string: N[NH2+]NC1=[NH+]O1
multiplicity: 1
energy: -9115.8938 eV
relative energy (zero: lowest compared OMol25 entry of this formula, charge and spin): 277.9 kJ/mol
total charge: +2
HOMO-LUMO gap: 10.35 eV


# 3
The following is a quantum chemistry calculation of the molecule CH6N4O2 at a distorted geometry, from the Open Molecules 2025 dataset.

Positions of all 13 atoms, in Å:
N  2.538  0.035  -1.098
O  1.480  0.289  -0.124
C  0.267  -0.060  -0.465
O  -0.249  -0.347  -1.507
N  -0.765  0.383  0.707
N  -2.008  0.562  0.115
N  -0.715  -0.621  1.695
H  3.373  -0.444  -0.680
H  2.917  0.980  -1.305
H  -2.297  1.445  -0.297
H  -2.204  -0.119  -0.578
H  -0.712  -1.580  1.236
H  -1.625  -0.524  2.302

## Properties
SMILES string: NOC(=O)N(N)N
multiplicity: 1
energy: -11185.4061 eV
relative energy (zero: lowest compared OMol25 entry of this formula, charge and spin): 347.8 kJ/mol
total charge: 0
HOMO-LUMO gap: 9.45 eV

=====

A cluster of 2 separate species, C9H14 in total at a distorted geometry, computed with wB97M-V/def2-TZVPD.

Last column: natural (NBO) charge in e.
CARTESIAN COORDINATES (ANGSTROEM)
1 C -2.09 0.70 -0.14  -0.635
2 C -0.93 0.72 -1.12  0.009
3 C -0.47 1.92 -1.66  -0.226
4 C 0.65 1.97 -2.47  -0.196
5 C 1.24 0.77 -2.86  -0.227
6 C 0.70 -0.43 -2.45  -0.198
7 C -0.37 -0.48 -1.55  -0.230
8 H -2.99 0.61 -0.74  0.225
9 H -2.07 1.54 0.55  0.217
10 H -1.94 -0.13 0.51  0.211
11 H -0.92 2.84 -1.33  0.205
12 H 0.98 2.93 -2.84  0.212
13 H 2.05 0.76 -3.57  0.211
14 H 1.11 -1.33 -2.87  0.210
15 H -0.69 -1.36 -1.02  0.210
16 C 1.22 -0.81 2.88  -0.620
17 C 0.24 -2.02 2.97  -0.614
18 H 1.07 -0.30 1.94  0.211
19 H 1.07 -0.14 3.69  0.201
20 H 2.25 -1.06 3.17  0.208
21 H 0.76 -2.93 3.13  0.210
22 H -0.50 -1.73 3.72  0.205
23 H -0.36 -2.04 2.07  0.199

Computed properties:
**2S+1**: 1
**Charge**: 0
**SMILES string**: Cc1ccccc1.CC
**HOMO-LUMO gap**: 10.1 eV
**Energy above the lowest of the compared OMol25 structures with the same formula, charge and spin**: 16.4 kcal/mol


A cluster of 2 separate species, C9H14 in total at a distorted geometry, computed with wB97M-V/def2-TZVPD.

Last column: natural (NBO) charge in e.
CARTESIAN COORDINATES (ANGSTROEM)
1 C 2.09 -0.20 0.53  -0.637
2 C 0.79 -0.70 1.07  -0.002
3 C 0.44 -0.47 2.40  -0.219
4 C -0.78 -0.92 2.89  -0.199
5 C -1.69 -1.56 2.04  -0.224
6 C -1.33 -1.80 0.73  -0.202
7 C -0.10 -1.38 0.23  -0.224
8 H 2.93 -0.43 1.18  0.218
9 H 2.16 0.86 0.28  0.221
10 H 2.32 -0.72 -0.41  0.213
11 H 1.14 0.09 3.00  0.210
12 H -1.03 -0.83 3.93  0.211
13 H -2.64 -1.89 2.43  0.213
14 H -2.05 -2.24 0.05  0.211
15 H 0.18 -1.54 -0.80  0.210
16 C -0.19 1.88 -1.71  -0.608
17 C -0.41 1.56 -3.18  -0.605
18 H -0.69 1.15 -1.08  0.210
19 H 0.85 1.91 -1.39  0.199
20 H -0.64 2.85 -1.48  0.202
21 H 0.18 2.21 -3.84  0.201
22 H -1.46 1.64 -3.44  0.204
=====

Written answer:
1